【家政體,呂易倫個展Family as Politics LU,Yi-Lun Solo Exhibition】
|展期 Duration|
1-27, OCT, 2019
12:00-19:30 MON-SUN
|開幕Opening Reception|
6, OCT, 2019 (SUN)
水谷藝術 ——
Waley Art ——
No. 6, Ln. 322, Wanda Rd., Wanhua Dist., Taipei City 108, Taiwan
>> 贊助:財團法人國家文化藝術基金會、台北市政府文化局
>> 本空間獲國藝會視覺藝術組織營運專案及台北市政府文化局空間
>> Sponsor:National Culture and Arts Foundation、Department
of Cultural Affairs, Taipei City Government
此次將透過攝影、繪畫與空間裝置對這個半世紀內的時空進行補遺,或者這麼說,作品皆以「光」作為貫穿思考創作的原始起點,從攝影(photography)、外光派(pleinairism)繪畫與電影燈光(cinematic light)皆以展現對於「光的摹寫」脈絡進行媒材意義上的本質探究。
“Over the span of decades, what stays eternal is the cycle of day and night guided by the lights”
Next to the article, the page also holds molecular data
........
Entry from the Open Molecules 2025 dataset: a molecular structure, C45H63IrOP2Si (wB97M-V/def2-TZVPD).

CARTESIAN COORDINATES (ANGSTROEM)
1 Ir 0.591 0.187 -0.043
2 C -2.724 0.276 1.543
3 Si -1.496 -0.820 0.673
4 C -0.747 -2.287 1.594
5 C -1.581 -3.389 1.794
6 C -1.142 -4.498 2.504
7 C 0.145 -4.527 3.023
8 C 1.001 -3.455 2.819
9 C 0.563 -2.348 2.102
10 P 1.559 -0.871 1.812
11 C 1.339 0.230 3.266
12 C 1.535 -0.586 4.569
13 C 1.164 0.245 5.822
14 C 1.082 1.735 5.528
15 C 0.022 2.019 4.459
16 C -0.016 0.920 3.379
17 C 3.391 -0.886 1.527
18 C 3.917 -1.862 0.471
19 C 4.197 -3.255 1.027
20 C 5.149 -3.198 2.218
21 C 4.621 -2.276 3.313
22 C 4.319 -0.889 2.760
23 C -2.343 -1.449 -0.862
24 C -3.718 -1.669 -0.948
25 C -4.283 -2.159 -2.115
26 C -3.485 -2.395 -3.228
27 C -2.121 -2.160 -3.171
28 C -1.550 -1.711 -1.979
29 P 0.206 -1.287 -1.895
30 C 1.391 -2.678 -2.068
31 C 1.413 -3.378 -3.460
32 C 0.440 -4.545 -3.632
33 C 0.490 -5.523 -2.469
34 C 0.261 -4.792 -1.154
35 C 1.329 -3.725 -0.948
36 C 0.436 -0.242 -3.407
37 C -0.459 0.990 -3.384
38 C 0.063 1.982 -2.365
39 C 1.515 2.359 -2.606
40 C 2.432 1.146 -2.735
41 C 1.886 0.121 -3.724
42 H -3.425 -0.417 2.022
43 H -3.287 0.852 0.807
44 H -2.354 0.944 2.309
45 H -2.585 -3.396 1.385
46 H -1.804 -5.341 2.654
47 H 0.483 -5.387 3.586
48 H 2.002 -3.493 3.225
49 H 2.134 0.978 3.162
50 H 2.552 -0.966 4.650
51 H 0.878 -1.456 4.516
52 H 1.896 0.051 6.605
53 H 0.203 -0.095 6.213
54 H 2.061 2.110 5.212
55 H 0.837 2.279 6.440
56 H 0.217 2.981 3.989
57 H -0.965 2.095 4.920
58 H -0.338 1.352 2.425
59 H -0.748 0.154 3.646
60 H 3.456 0.133 1.116
61 H 4.854 -1.438 0.096
62 H 3.238 -1.907 -0.378
63 H 4.617 -3.881 0.238
64 H 3.258 -3.730 1.325
65 H 6.123 -2.826 1.884
66 H 5.323 -4.200 2.609
67 H 5.357 -2.181 4.113
68 H 3.729 -2.707 3.782
69 H 5.257 -0.458 2.394
70 H 3.967 -0.205 3.532
71 H -4.360 -1.454 -0.103
72 H -5.349 -2.335 -2.170
73 H -3.928 -2.747 -4.149
74 H -1.533 -2.320 -4.064
75 H 2.337 -2.125 -2.000
76 H 2.430 -3.774 -3.545
77 H 1.315 -2.661 -4.276
78 H 0.692 -5.050 -4.566
79 H -0.585 -4.194 -3.745
80 H 1.463 -6.024 -2.442
81 H -0.257 -6.304 -2.608
82 H 0.306 -5.491 -0.317
83 H -0.740 -4.346 -1.135
84 H 2.308 -4.214 -0.929
85 H 1.208 -3.244 0.020
86 H 0.052 -0.936 -4.164
87 H -1.501 0.733 -3.191
88 H -0.429 1.450 -4.375
89 H -0.097 1.482 -1.347
90 H -0.576 2.861 -2.266
91 H 1.876 3.056 -1.850
92 H 1.528 2.916 -3.548
93 H 2.559 0.657 -1.753
94 H 3.433 1.463 -3.029
95 H 2.521 -0.765 -3.762
96 H 1.892 0.540 -4.734
97 C 3.335 3.284 1.259
98 C 1.900 2.958 1.003
99 O 1.705 1.871 0.373
100 C 0.850 3.865 1.376
101 C 1.172 5.046 2.071
102 C 0.181 5.938 2.429
103 C -1.142 5.665 2.100
104 C -1.477 4.505 1.402
105 C -0.492 3.616 1.036
106 H 3.976 2.481 0.906
107 H 3.508 3.456 2.323
108 H 3.604 4.209 0.744
109 H 2.194 5.267 2.342
110 H 0.433 6.842 2.965
111 H -1.919 6.363 2.382
112 H -2.509 4.314 1.141
113 H -0.765 2.722 0.488

Cartesian forces (eV/Å) of the 6 atoms listed first:
Ir 0.4 0.5 -0.4
C 0.1 0.0 0.0
Si -0.2 -0.5 -0.1
........
This exhibition, “Family as Politics” embodies the transition in Lu Yi-lun’s artistic practices after he completed the previous art series during the residency in Zuoying, shifting from the direct gaze at the Other to the understanding of his family/ancestry and the related space. As indicated by the title, no one or nobody’s family can be considered irrelevant to the politics and society; it’s just a matter of degree. The word “politics” —— the core concept of the exhibition —— here is intended to refer, both generally and specifically, not only to Taiwan’s political changes under different historical contexts but also to the situation of dealing with the political scene within Lu’s family.
The artwork concerns the house in which Lu grew up, the same place where his ancestors lived. Inspired by what he has gone through in life including moving away from home, the said buildings falling into disrepair, and returning to the house, Lu’s art examines the interweaving relationship between his bloodline/genealogy and these solid spaces.
In recent years, Lu has been continuing tidying up this family-related house that remains in the same place, and he gradually recalled his childhood memories in detail by physical effort in the course of being reunited with the family relics and categorizing them. The fact that these objects of which original contexts are divorced from the present reality —— thus creating a big gap in between —— has revealed a certain social ambience and the reality in relation to the history of the declaration of martial law, the lifting of martial law, and party alternation in Taiwan over the past half century.
“Family as Politics” will act as the supplement to the ages during the past half century by means of photography, paintings, and spatial installations, that is, “light” is the initial idea weaving through the exhibiting works based on the languages of photography, pleinairism, and cinematic light so as to explore the nature of art media in the context of “to write with light”.
Lu Yi-Lun (born 1988, lives and works in Taiwan)uses photography as a main artistic medium and explores the profundity of relations between an image and its subject, seeing photography as a means of reproduction subsequent to dialectical reasoning and discussion. His practice often intervenes socially-connoted topography and reveals erased or invisible spectacles and issues.
After Zuoying Project, Lu’s recent attempt involves extending subtle sensitivities in perceiving images. By experimenting with words, sentences, sounds, or even other forms of abstraction, Lu tries to include the use of senses other than the visual upon confronting his works and to expand photography’s diverse aspects.